محمول بيديت البخاخ هو صحية أكثر بكثير وأكثر كفاءة من ورق التواليت وحده فقط. نعم, تعتبر رشاشات بيديت المحمولة باليد رائعة للحفاظ على النظافة المناسبة بعد استخدام المرحاض. إنها إلى حد بعيد نسخة متفوقة من المراحيض التقليدية لأنها قادرة على توفير تحكم أفضل ومزيد من ضغط الماء. مع هذه المراحيض المحمولة, لا تحتاج إلى ورق تواليت بعد الآن - مجرد منشفة لتجف. You do not need to enlist the help of a plumber to attach a handheld bidet to the same water line as the toilet. Not only does it save you quite a fair bit of money, but it is also very environmental friendly as it allows you to cut back on toilet paper use. The handheld bidet also has some pretty nifty health benefits when it comes to cases of hemorrhoids. It’s a handy gadget for just under $5, do not trust USD50 from USA or Europe, can never cost big more than $5!
Most Benefits and Advantages by using Handheld Bidet Sprayers:
- Superior Personal Cleaning
- More Convenient and Faster than Toilet Paper
- Helps with Hemorroids and Rectal Itch
- Best for the Environment; Saves Trees and Lessens Solid Waste
- Makes Washing Cloth Diapers a Breeze
- Great for Cleaning In and Around the Toilet
This guide is for people who plan to buy a handheld bidet. There are quite a few choices that you have to make when it comes to buying handheld bidets. Thus, you need to ensure you look out for the correct things.
Variable Control Valve – If a certain bidet model has this, then its means the flow is easily adjustable on that particular unit. The flow on a variable unit tends to range from 0 psi (off) to household water pressure (normally ~125 psi). The variable control means that you can easily adjust water flow to your own comfort.
Hoses – Helps to ensure you have everything needed to connect the handheld bidet unit to your toilet. Most of the sellers that are cheap do not include a hose to go from the handheld bidet spray unit to the wall outlet. Hoses are generally made of flexible PVC, but a more sturdy option is braided stainless steel.
Materials data, as found in the file.
┌──
This entry pairs a crystal structure of Sr6V9S22O2 with its theoretical powder XRD pattern. Radiation: Cu Kα X-rays. Structure: a cell relaxed with GGA+U.
Lines closer than 0.1° are merged.

Top 10 peaks for 2θ from 15° to 90°, sorted by position:
15.11°, d 5.863, rel. 31
20.92°, d 4.246, rel. 53
22.74°, d 3.910, rel. 35
24.75°, d 3.598, rel. 58
30.10°, d 2.969, rel. 64
30.43°, d 2.937, rel. 40
32.61°, d 2.746, rel. 68
34.98°, d 2.565, rel. 41
36.42°, d 2.467, rel. 100
41.39°, d 2.182, rel. 40

Structure:
```
Sr6V9S22O2
1.0
4.5555 2.6301 11.7263
-4.5555 2.6301 11.7263
0.0000 -5.2602 11.7263
Sr V S O
6 9 22 2
direct
0.0116 0.5873 0.2364
0.2364 0.0116 0.5873
0.4127 0.7636 0.9884
0.5873 0.2364 0.0116
0.7636 0.9884 0.4127
0.9884 0.4127 0.7636
0.0617 0.6497 0.7886
0.2114 0.9383 0.3503
0.3461 0.3461 0.3461
0.3503 0.2114 0.9383
0.5000 0.5000 0.5000
0.6497 0.7886 0.0617
0.6539 0.6539 0.6539
0.7886 0.0617 0.6497
0.9383 0.3503 0.2114
0.0169 0.1580 0.4483
0.0301 0.0301 0.0301
0.1241 0.1241 0.1241
0.1469 0.6007 0.3481
0.1580 0.4483 0.0169
0.2682 0.4188 0.6976
0.3024 0.7318 0.5812
0.3481 0.1469 0.6007
0.3993 0.6519 0.8531
0.4188 0.6976 0.2682
0.4483 0.0169 0.1580
0.5517 0.9831 0.8420
0.5812 0.3024 0.7318
0.6007 0.3481 0.1469
0.6519 0.8531 0.3993
0.6976 0.2682 0.4188
0.7318 0.5812 0.3024
0.8420 0.5517 0.9831
0.8531 0.3993 0.6519
0.8759 0.8759 0.8759
0.9699 0.9699 0.9699
0.9831 0.8420 0.5517
0.2968 0.2968 0.2968
0.7032 0.7032 0.7032
```


No. 1
Computed X-ray diffraction stick pattern
Compound: Rb2TaAuF6
Radiation: λ = 1.5418 Å (Cu Kα)
Structure: a crystal structure in the Materials Project, relaxed with PBE

Peak list (6 most intense, 15° ≤ 2θ ≤ 90°, by angle)
Position (°2θ)	I (rel.)	index
17.26	26	2 0 0
24.50	100	2 2 0
34.92	28	4 0 0
43.12	39	4 2 2
56.64	24	6 2 0
68.29	25	6 4 2

Cell and atoms:
```
data_Rb2TaAuF6
_chemical_formula_sum 'Rb8 Ta4 Au4 F24'
_cell_length_a 10.278
_cell_length_b 10.278
_cell_length_c 10.278
_cell_angle_alpha 90.00
_cell_angle_beta 90.00
_cell_angle_gamma 90.00
_symmetry_space_group_name_H-M 'F m -3 m'
_symmetry_Int_Tables_number 225
_symmetry_space_group_name_Hall '-F 4 2 3'
loop_
_atom_site_label
_atom_site_fract_x
_atom_site_fract_y
_atom_site_fract_z
Rb1 0.250 0.250 0.250
Ta1 0.000 0.000 0.000
Au1 0.000 0.000 0.500
F1 0.000 0.000 0.187
```



No. 2
Computed X-ray diffraction stick pattern
Compound: MgSi2
Radiation: λ = 1.5418 Å (Cu Kα)
Structure: a crystal structure in the Materials Project, relaxed with PBE

Peak list (6 most intense, 15° ≤ 2θ ≤ 90°, by angle)
Position (°2θ)	I (rel.)	index
33.79	100	1 -1 0
34.06	41	0 0 4
34.44	67	1 2 0
36.51	30	0 1 4
42.22	24	1 0 4
50.32	33	2 1 0

Cell and atoms:
```
data_MgSi2
_chemical_formula_sum 'Mg4 Si8'
_cell_length_a 3.634
_cell_length_b 5.994
_cell_length_c 10.580
_cell_angle_alpha 84.90
_cell_angle_beta 86.33
_cell_angle_gamma 73.14
_symmetry_space_group_name_H-M 'P 1'
_symmetry_Int_Tables_number 1
_symmetry_space_group_name_Hall 'P 1'
loop_
_atom_site_label
_atom_site_fract_x
└──
The materials data stop here.
مادة – The design of a handheld shower bidet sprayer is extremely important. Most sprayers are now made from ABS plastic which is highly durable and does not get scratched easily. If you are looking to buy a more durable sprayer, then you can consider getting a portable handheld bidet which is coated with chrome. This will be a good investment to make.
A good test to see whether the seller is reliable is to check if their parts come with any warranty. A standard warranty is usually 1 year, but there are some sellers that will offer more.